Could you work out how many lines underneath have the word "optimized" in them; a number is enough?

~~~
[1]
VASP calculation (PBE-GGA) on an optimized crystal structure of Ba8Eu7Cl34.

Computed properties:
Energy of formation ... -2784 meV/atom
Density ... 4.0 g/cm³
Energy with MP2020 corrections ... -5.8454 eV per atom

Lattice parameters (Å, degrees): 13.5831 13.5831 13.5831 130.51 130.51 72.59
Sites, in units of the cell vectors:
Ba (0.0209, 0.8418, 0.5450)
Ba (0.1582, 0.7033, 0.1791)
Ba (0.2967, 0.4758, 0.4550)
Ba (0.4758, 0.0209, 0.1791)
Ba (0.5242, 0.9791, 0.8209)
Ba (0.7033, 0.5242, 0.5450)
Ba (0.8418, 0.2967, 0.8209)
Ba (0.9791, 0.1582, 0.4550)
Eu (0.0000, 0.0000, 0.0000)
Eu (0.1800, 0.6083, 0.7884)
Eu (0.3116, 0.3116, 0.0000)
Eu (0.3917, 0.1800, 0.5717)
Eu (0.6083, 0.8200, 0.4283)
Eu (0.6884, 0.6884, 0.0000)
Eu (0.8200, 0.3917, 0.2116)
Cl (0.0040, 0.7225, 0.8785)
Cl (0.0442, 0.1485, 0.7148)
Cl (0.0770, 0.5770, 0.5000)
Cl (0.1256, 0.0040, 0.2815)
Cl (0.1485, 0.4337, 0.1042)
Cl (0.1560, 0.8744, 0.8785)
Cl (0.1686, 0.4522, 0.8617)
Cl (0.2267, 0.3615, 0.5882)
Cl (0.2500, 0.7500, 0.5000)
Cl (0.2775, 0.1560, 0.2815)
Cl (0.3069, 0.1686, 0.7164)
Cl (0.3295, 0.0442, 0.8958)
Cl (0.3615, 0.7733, 0.1348)
Cl (0.4096, 0.6931, 0.8617)
Cl (0.4230, 0.9230, 0.5000)
Cl (0.4337, 0.3295, 0.2852)
Cl (0.4522, 0.5904, 0.2836)
Cl (0.5478, 0.4096, 0.7164)
Cl (0.5663, 0.6705, 0.7148)
Cl (0.5770, 0.0770, 0.5000)
Cl (0.5904, 0.3069, 0.1383)
Cl (0.6385, 0.2267, 0.8652)
Cl (0.6705, 0.9558, 0.1042)
Cl (0.6931, 0.8314, 0.2836)
Cl (0.7225, 0.8440, 0.7185)
Cl (0.7500, 0.2500, 0.5000)
Cl (0.7733, 0.6385, 0.4118)
Cl (0.8314, 0.5478, 0.1383)
Cl (0.8440, 0.1256, 0.1215)
Cl (0.8515, 0.5663, 0.8958)
Cl (0.8744, 0.9960, 0.7185)
Cl (0.9230, 0.4230, 0.5000)
Cl (0.9558, 0.8515, 0.2852)
Cl (0.9960, 0.2775, 0.1215)



[2]
VASP calculation (PBE-GGA) on an optimized crystal structure of Ba6EuCl2F12.

Computed properties:
Energy of formation ... -3908 meV/atom
Density ... 5.1 g/cm³
Energy with MP2020 corrections ... -6.2148 eV per atom

Lattice parameters (Å, degrees): 10.6874 10.6874 4.2162 90.00 90.00 120.00
Sites, in units of the cell vectors:
Ba (0.0483, 0.7782, 0.0000)
Ba (0.2218, 0.2701, 0.0000)
Ba (0.4421, 0.0734, 0.5000)
Ba (0.6313, 0.5579, 0.5000)
Ba (0.7299, 0.9517, 0.0000)
Ba (0.9266, 0.3687, 0.5000)
Eu (0.3333, 0.6667, 0.5000)
Cl (0.0000, 0.0000, 0.5000)
Cl (0.6667, 0.3333, 0.0000)
F (0.1249, 0.5713, 0.0000)
F (0.1882, 0.4059, 0.5000)
F (0.2177, 0.8118, 0.5000)
F (0.2821, 0.0525, 0.0000)
F (0.3961, 0.2985, 0.5000)
F (0.4287, 0.5536, 0.0000)
F (0.4464, 0.8751, 0.0000)
F (0.5941, 0.7823, 0.5000)
F (0.7015, 0.0975, 0.5000)
F (0.7703, 0.7179, 0.0000)
F (0.9025, 0.6039, 0.5000)
F (0.9475, 0.2297, 0.0000)



[3]
VASP calculation (PBE-GGA) on an optimized crystal structure of Ba12Cl5F19.

Computed properties:
Maximum piezoelectric response ... 0.184 C/m2
Energy of formation ... -3828 meV/atom
Density ... 4.7 g/cm³
Energy with MP2020 corrections ... -5.7344 eV per atom

Lattice parameters (Å, degrees): 14.2917 14.2917 4.3291 90.00 90.00 120.00
Sites, in units of the cell vectors:
Ba (0.0000, 0.1777, 0.0000)
Ba (0.0000, 0.6259, 0.0000)
Ba (0.1671, 0.4750, 0.5000)
Ba (0.1777, 0.0000, 0.0000)
Ba (0.3079, 0.8329, 0.5000)
Ba (0.3741, 0.3741, 0.0000)
Ba (0.4750, 0.1671, 0.5000)
Ba (0.5250, 0.6921, 0.5000)
Ba (0.6259, 0.0000, 0.0000)
Ba (0.6921, 0.5250, 0.5000)
Ba (0.8223, 0.8223, 0.0000)
Ba (0.8329, 0.3079, 0.5000)
Cl (0.0000, 0.8117, 0.5000)
Cl (0.1883, 0.1883, 0.5000)
Cl (0.3333, 0.6667, 0.0000)
Cl (0.6667, 0.3333, 0.0000)
Cl (0.8117, 0.0000, 0.5000)
F (0.0000, 0.0000, 0.0000)
F (0.0000, 0.2794, 0.5000)
F (0.0000, 0.4390, 0.0000)
F (0.1257, 0.6371, 0.5000)
F (0.1827, 0.3756, 0.0000)
F (0.1929, 0.8173, 0.0000)
F (0.2794, 0.0000, 0.5000)
F (0.3629, 0.4886, 0.5000)
F (0.3756, 0.1827, 0.0000)
F (0.4390, 0.0000, 0.0000)
F (0.4886, 0.3629, 0.5000)
F (0.5114, 0.8743, 0.5000)
F (0.5610, 0.5610, 0.0000)
F (0.6244, 0.8071, 0.0000)
F (0.6371, 0.1257, 0.5000)
F (0.7206, 0.7206, 0.5000)
F (0.8071, 0.6244, 0.0000)
F (0.8173, 0.1929, 0.0000)
F (0.8743, 0.5114, 0.5000)



[4]
~~~

3